By Harriet E. Smith, Associate Editor, Mark Twain Project


Photograph by William Vander Weyde, 21 September 1906.

### Attached: crystal structures
+++
(1)
! TaSiH33C11N5Cl | Materials Project | PBE | optimized geometry; values from VASP
&SYSTEM
  ibrav = 0, nat = 208, ntyp = 6
/
ATOMIC_SPECIES
Cl 35.45 Cl.upf
Si 28.09 Si.upf
H 1.01 H.upf
C 12.01 C.upf
N 14.01 N.upf
Ta 180.95 Ta.upf
ATOMIC_POSITIONS crystal
Cl 0.5183 0.0401 0.3011
Cl 0.9817 0.5401 0.1989
Cl 0.4817 0.9599 0.6989
Cl 0.0183 0.4599 0.8011
Si 0.8267 0.1764 0.8266
Si 0.3267 0.3236 0.3266
Si 0.6733 0.6764 0.6734
Si 0.1733 0.8236 0.1734
H 0.1630 0.9727 0.0745
H 0.1130 0.2575 0.2647
H 0.3370 0.4727 0.4255
H 0.4076 0.0948 0.4236
H 0.0229 0.6535 0.3324
H 0.7581 0.6284 0.5435
H 0.3883 0.3529 0.1877
H 0.1120 0.9936 0.6378
H 0.6797 0.0501 0.8698
H 0.6504 0.8087 0.5128
H 0.0306 0.2473 0.6053
H 0.5205 0.6106 0.0872
H 0.2290 0.1680 0.6421
H 0.8166 0.9881 0.1161
H 0.5991 0.5310 0.7534
H 0.7976 0.5927 0.9834
H 0.6038 0.1289 0.1119
H 0.6906 0.7113 0.3472
H 0.6107 0.6273 0.1889
H 0.2710 0.6680 0.8579
H 0.7523 0.5777 0.7997
H 0.4451 0.1204 0.8847
H 0.1315 0.5926 0.5299
H 0.7340 0.3339 0.7518
H 0.9092 0.2774 0.4505
H 0.5908 0.7774 0.0495
H 0.8370 0.0273 0.9255
H 0.3893 0.3727 0.8111
H 0.5199 0.6594 0.4690
H 0.7710 0.8320 0.3579
H 0.4835 0.1132 0.5293
H 0.3870 0.7575 0.2353
H 0.0549 0.6204 0.6153
H 0.6247 0.3614 0.4900
H 0.8880 0.0064 0.3622
H 0.7477 0.0777 0.7003
H 0.3733 0.4066 0.0307
H 0.2419 0.3716 0.4565
H 0.7144 0.4876 0.0197
H 0.4771 0.1535 0.1676
H 0.1657 0.6982 0.7637
H 0.3496 0.1913 0.4872
H 0.2523 0.9223 0.2997
H 0.4801 0.3406 0.5310
H 0.8343 0.3018 0.2363
H 0.1834 0.0119 0.8839
H 0.2477 0.4223 0.2003
H 0.2856 0.5124 0.9803
H 0.6315 0.9074 0.0299
H 0.3753 0.6386 0.5100
H 0.6130 0.2425 0.7647
H 0.8809 0.7637 0.9337
H 0.3343 0.1982 0.7363
H 0.3962 0.8711 0.8881
H 0.1107 0.8727 0.6889
H 0.8188 0.8235 0.6516
H 0.9451 0.3796 0.3847
H 0.2144 0.0124 0.5197
H 0.0165 0.6132 0.9707
H 0.1797 0.4499 0.3698
H 0.3848 0.5716 0.7116
H 0.3203 0.9499 0.1302
H 0.1906 0.7887 0.8472
H 0.7024 0.0927 0.5166
H 0.8203 0.5501 0.6302
H 0.8753 0.8614 0.0100
H 0.0991 0.9690 0.2534
H 0.1504 0.6913 0.0128
H 0.9009 0.0310 0.7466
H 0.1267 0.9066 0.4693
H 0.7238 0.9741 0.1963
H 0.0199 0.8406 0.9690
H 0.4092 0.2226 0.9505
H 0.1152 0.0716 0.7884
H 0.1038 0.3711 0.6119
H 0.9076 0.4052 0.9236
H 0.2024 0.4073 0.0166
H 0.2581 0.8716 0.0435
H 0.8870 0.7425 0.7353
H 0.0908 0.7226 0.5495
H 0.3166 0.5119 0.6161
H 0.3809 0.7363 0.4337
H 0.4795 0.3894 0.9128
H 0.8685 0.4074 0.4701
H 0.8496 0.3087 0.9872
H 0.6191 0.2637 0.5663
H 0.0924 0.5948 0.0764
H 0.6834 0.4881 0.3839
H 0.6812 0.3235 0.8484
H 0.4694 0.7473 0.8947
H 0.2976 0.9073 0.4834
H 0.3188 0.6765 0.1516
H 0.6152 0.4284 0.2884
H 0.3880 0.4936 0.8622
H 0.6120 0.5064 0.1378
H 0.7419 0.1284 0.9565
H 0.9801 0.1594 0.0310
H 0.3685 0.0926 0.9701
H 0.2238 0.5259 0.6963
H 0.2660 0.6661 0.2482
H 0.7660 0.8339 0.7482
H 0.2340 0.1661 0.2518
H 0.1812 0.1765 0.3484
H 0.9835 0.3868 0.0293
H 0.0205 0.8894 0.5872
H 0.9795 0.1106 0.4128
H 0.6267 0.5934 0.9693
H 0.8962 0.6289 0.3881
H 0.8893 0.1273 0.3111
H 0.8733 0.0934 0.5307
+++

Most images we have of Mark Twain from 1906 show him posing formally in a studio, or are full-body shots taken by his secretary or daughter—probably with a Kodak “Folding Pocket Camera,” which most amateurs used at the time. This one, however, is a rare candid shot taken by a professional photographer, William Vander Wyde, who visited his home on Fifth Avenue in New York on 21 September 1906. Later that day Clemens wrote to his friend Mary Rogers about the occasion:

I was reading yours when the photographer entered the room. I dropped my hand & looked up, & he said: “There—don’t move—stay just as you are, the letter in your hand—a good pose! looks just as if you’d been interrupted, & wanted to use language!” I said, “Oh, no, nothing severer than ‘Don’t, Mary’ ”—& he laughed the laugh which a person laughs when he pretends to understand but knows very well he doesn’t. He made a half a dozen negatives & said he would have couple of finished pictures awaiting me at the house on my return Sunday eve, from Norfolk.

He went on to talk about his daughter Clara, who was about to make her professional debut as a singer in Norfolk, Connecticut.

Clara & I have had a chat. . . . She says I mustn’t lead her on the stage; also she says I must. She has a dread that the house will call for a speech. I said “I will excuse myself.” “But they won’t take the excuse.” “Then I will say, “I would gladly respond, but Mr. Luckstone, who was to accompany me on the trombone, has unfortunately caught a cold.” She said that if I would be sure & stop there—& so forth & so forth.

Clemens did not introduce Clara, but when he approached the stage after her performance to congratulate her, the audience called for a speech, and he delivered an informal talk that lasted (as he recounted in his autobiography) “for fifteen or twenty minutes. . . . Clara had heard me make a good many speeches, and so when she said of this one ‘it is the happiest talk you have ever made,’ I said she was a competent judge and would endorse her verdict.” To Clara’s dismay, however, he received more newspaper coverage than she did. A review of the concert appeared in the New York Sun with the headline “Twain’s ‘First Appearance.’ At His Daughter’s Singing Debut He Tells How Stage Fright Once Gripped Him.” It included a complete text of his speech (which a reporter had taken down in shorthand), and Clara was not mentioned until the last paragraph, where it was noted that “she displayed some nervousness in her opening number,” but then “acquitted herself with coolness and effect” in performing works by “Grieg, Schubert, and Haydn, among others.”

Read the stories behind the covers of the other two volumes of the Autobiography of Mark Twain.
